(Job)
Return the whole of the lines underneath without additions.

(Material)
1.
KAc2Mg2Sn2 after structural relaxation. Source: the Alexandria database, functional PBE-GGA.

```
data_KAc2Mg2Sn2
_chemical_formula_sum 'K3 Ac6 Mg6 Sn6'
_space_group_name_H-M_alt 'R -3 m'
_space_group_IT_number 166
_space_group_name_Hall '-R 3 2"'
_cell_length_a 5.1460
_cell_length_b 5.1460
_cell_length_c 32.6872
_cell_angle_alpha 90.00
_cell_angle_beta 90.00
_cell_angle_gamma 120.00
loop_
_atom_site_label
_atom_site_fract_x
_atom_site_fract_y
_atom_site_fract_z
K1 0.0000 0.0000 0.0000
Ac1 0.0000 0.0000 0.1316
Mg1 0.0000 0.0000 0.4121
Sn1 0.0000 0.0000 0.2528
```

Fermi-level density of states = 15.991 states/eV per cell
E_tot = -3.152 eV per atom
Magnetization = 0.0 μB per formula unit
ΔH_f (0 K) = -0.22 eV per atom


2.
KAc2MgTe4 after structural relaxation. Source: the Alexandria database, functional PBE-GGA.

```
data_KAc2MgTe4
_chemical_formula_sum 'K4 Ac8 Mg4 Te16'
_space_group_name_H-M_alt 'C m c m'
_space_group_IT_number 63
_space_group_name_Hall '-C 2c 2'
_cell_length_a 4.662
_cell_length_b 16.195
_cell_length_c 16.633
_cell_angle_alpha 90.00
_cell_angle_beta 90.00
_cell_angle_gamma 90.00
loop_
_atom_site_label
_atom_site_fract_x
_atom_site_fract_y
_atom_site_fract_z
K1 0.000 0.113 0.250
Ac1 0.000 0.369 0.055
Mg1 0.000 0.162 0.750
Te1 0.000 0.000 0.000
Te2 0.000 0.270 0.620
Te3 0.000 0.437 0.250
```

Fermi-level density of states = 11.895 states/eV per cell
E_tot = -4.224 eV per atom
Magnetization = 0.0 μB per formula unit


Entry 1:
The following is a DFT calculation (PBE) of Nd2CuPtO5 after structural relaxation.

Results
The uncorrected formation energy comes out at -1.761 eV/atom. The spin magnetization comes out at 1.0 μB per formula unit.

CIF file:
```
data_Nd2CuPtO5
_cell_length_a 6.846
_cell_length_b 6.846
_cell_length_c 5.740
_cell_angle_alpha 90.00
_cell_angle_beta 90.00
_cell_angle_gamma 90.00
_space_group_name_H-M_alt 'P 4/m b m'
_space_group_IT_number 127
_space_group_name_Hall '-P 4 2ab'
loop_
_atom_site_label
_atom_site_fract_x
_atom_site_fract_y
_atom_site_fract_z
Nd1 0.176 0.324 0.000
Cu1 0.000 0.000 0.500
Pt1 0.000 0.500 0.500
O1 0.000 0.000 0.000
O2 0.136 0.636 0.246
```

Entry 2:
The following is a DFT calculation (PBE) of NdCuPtO4 after structural relaxation.

Results
The uncorrected formation energy comes out at -1.407 eV/atom. The spin magnetization comes out at 0.0 μB per formula unit.

CIF file:
```
data_NdCuPtO4
_cell_length_a 6.432
_cell_length_b 7.741
_cell_length_c 8.872
_cell_angle_alpha 90.00
_cell_angle_beta 90.00
_cell_angle_gamma 90.00
_space_group_name_H-M_alt 'I m m a'
_space_group_IT_number 74
_space_group_name_Hall '-I 2b 2'
loop_
_atom_site_label
_atom_site_fract_x
_atom_site_fract_y
_atom_site_fract_z
Nd1 0.000 0.000 0.000
Cu1 0.000 0.250 0.467
Pt1 0.250 0.250 0.750
O1 0.000 0.080 0.739
O2 0.221 0.250 0.989
```

Entry 3:
The following is a DFT calculation (PBE) of NdPu2CuO8 after structural relaxation.

Results
The uncorrected formation energy comes out at -2.416 eV/atom. The spin magnetization comes out at 4.0 μB per formula unit.

CIF file:
```
data_NdPu2CuO8
_cell_length_a 5.003
_cell_length_b 6.911
_cell_length_c 5.007
_cell_angle_alpha 90.00
_cell_angle_beta 93.38
_cell_angle_gamma 90.00
_space_group_name_H-M_alt 'P 1 2/m 1'
_space_group_IT_number 10
loop_
_space_group_symop_operation_xyz
'x,y,z'
'-x,-y,-z'
'-x,y,-z'
'x,-y,z'
loop_
_atom_site_label
_atom_site_fract_x
_atom_site_fract_y
_atom_site_fract_z
Nd1 0.000 0.000 0.000
Pu1 0.500 0.260 0.500
Cu1 0.000 0.500 0.000
O1 0.210 0.271 0.212
O2 0.319 0.500 0.682
O3 0.324 0.000 0.679
```

Entry 4:
The following is a DFT calculation (PBE) of NdPuCu2O8 after structural relaxation.

Results
The uncorrected formation energy comes out at -1.507 eV/atom. The spin magnetization comes out at 1.2 μB per formula unit.

CIF file:
```
data_NdPuCu2O8
_cell_length_a 6.872
_cell_length_b 6.872
_cell_length_c 6.860
_cell_angle_alpha 90.00
_cell_angle_beta 90.00
_cell_angle_gamma 90.00
_space_group_name_H-M_alt 'I -4 m 2'

(Response)
1.
KAc2Mg2Sn2 after structural relaxation. Source: the Alexandria database, functional PBE-GGA.

```
data_KAc2Mg2Sn2
_chemical_formula_sum 'K3 Ac6 Mg6 Sn6'
_space_group_name_H-M_alt 'R -3 m'
_space_group_IT_number 166
_space_group_name_Hall '-R 3 2"'
_cell_length_a 5.1460
_cell_length_b 5.1460
_cell_length_c 32.6872
_cell_angle_alpha 90.00
_cell_angle_beta 90.00
_cell_angle_gamma 120.00
loop_
_atom_site_label
_atom_site_fract_x
_atom_site_fract_y
_atom_site_fract_z
K1 0.0000 0.0000 0.0000
Ac1 0.0000 0.0000 0.1316
Mg1 0.0000 0.0000 0.4121
Sn1 0.0000 0.0000 0.2528
```

Fermi-level density of states = 15.991 states/eV per cell
E_tot = -3.152 eV per atom
Magnetization = 0.0 μB per formula unit
ΔH_f (0 K) = -0.22 eV per atom


2.
KAc2MgTe4 after structural relaxation. Source: the Alexandria database, functional PBE-GGA.

```
data_KAc2MgTe4
_chemical_formula_sum 'K4 Ac8 Mg4 Te16'
_space_group_name_H-M_alt 'C m c m'
_space_group_IT_number 63
_space_group_name_Hall '-C 2c 2'
_cell_length_a 4.662
_cell_length_b 16.195
_cell_length_c 16.633
_cell_angle_alpha 90.00
_cell_angle_beta 90.00
_cell_angle_gamma 90.00
loop_
_atom_site_label
_atom_site_fract_x
_atom_site_fract_y
_atom_site_fract_z
K1 0.000 0.113 0.250
Ac1 0.000 0.369 0.055
Mg1 0.000 0.162 0.750
Te1 0.000 0.000 0.000
Te2 0.000 0.270 0.620
Te3 0.000 0.437 0.250
```

Fermi-level density of states = 11.895 states/eV per cell
E_tot = -4.224 eV per atom
Magnetization = 0.0 μB per formula unit


Entry 1:
The following is a DFT calculation (PBE) of Nd2CuPtO5 after structural relaxation.

Results
The uncorrected formation energy comes out at -1.761 eV/atom. The spin magnetization comes out at 1.0 μB per formula unit.

CIF file:
```
data_Nd2CuPtO5
_cell_length_a 6.846
_cell_length_b 6.846
_cell_length_c 5.740
_cell_angle_alpha 90.00
_cell_angle_beta 90.00
_cell_angle_gamma 90.00
_space_group_name_H-M_alt 'P 4/m b m'
_space_group_IT_number 127
_space_group_name_Hall '-P 4 2ab'
loop_
_atom_site_label
_atom_site_fract_x
_atom_site_fract_y
_atom_site_fract_z
Nd1 0.176 0.324 0.000
Cu1 0.000 0.000 0.500
Pt1 0.000 0.500 0.500
O1 0.000 0.000 0.000
O2 0.136 0.636 0.246
```

Entry 2:
The following is a DFT calculation (PBE) of NdCuPtO4 after structural relaxation.

Results
The uncorrected formation energy comes out at -1.407 eV/atom. The spin magnetization comes out at 0.0 μB per formula unit.

CIF file:
```
data_NdCuPtO4
_cell_length_a 6.432
_cell_length_b 7.741
_cell_length_c 8.872
_cell_angle_alpha 90.00
_cell_angle_beta 90.00
_cell_angle_gamma 90.00
_space_group_name_H-M_alt 'I m m a'
_space_group_IT_number 74
_space_group_name_Hall '-I 2b 2'
loop_
_atom_site_label
_atom_site_fract_x
_atom_site_fract_y
_atom_site_fract_z
Nd1 0.000 0.000 0.000
Cu1 0.000 0.250 0.467
Pt1 0.250 0.250 0.750
O1 0.000 0.080 0.739
O2 0.221 0.250 0.989
```

Entry 3:
The following is a DFT calculation (PBE) of NdPu2CuO8 after structural relaxation.

Results
The uncorrected formation energy comes out at -2.416 eV/atom. The spin magnetization comes out at 4.0 μB per formula unit.

CIF file:
```
data_NdPu2CuO8
_cell_length_a 5.003
_cell_length_b 6.911
_cell_length_c 5.007
_cell_angle_alpha 90.00
_cell_angle_beta 93.38
_cell_angle_gamma 90.00
_space_group_name_H-M_alt 'P 1 2/m 1'
_space_group_IT_number 10
loop_
_space_group_symop_operation_xyz
'x,y,z'
'-x,-y,-z'
'-x,y,-z'
'x,-y,z'
loop_
_atom_site_label
_atom_site_fract_x
_atom_site_fract_y
_atom_site_fract_z
Nd1 0.000 0.000 0.000
Pu1 0.500 0.260 0.500
Cu1 0.000 0.500 0.000
O1 0.210 0.271 0.212
O2 0.319 0.500 0.682
O3 0.324 0.000 0.679
```

Entry 4:
The following is a DFT calculation (PBE) of NdPuCu2O8 after structural relaxation.

Results
The uncorrected formation energy comes out at -1.507 eV/atom. The spin magnetization comes out at 1.2 μB per formula unit.

CIF file:
```
data_NdPuCu2O8
_cell_length_a 6.872
_cell_length_b 6.872
_cell_length_c 6.860
_cell_angle_alpha 90.00
_cell_angle_beta 90.00
_cell_angle_gamma 90.00
_space_group_name_H-M_alt 'I -4 m 2'